Why don't you just stop burning through it? :guitaristgif:
Every time I read about another mistake made that's solely a result of working TOO hard rather than not hard enough, it registers on the scale (in my mind) as another nano-molecule in favor of a nice, relaxing, lazy half-assed work ethic. And if you try that and you're
still burning through, just gonna hafta shoot for a quarter-assed work ethic next time! 0.375-assed, at the very most. Ooooh, how tiring... nap time! :icon_thumright:
In all seriousness, if you thin Tru-Oil HALF-AND-HALF with naptha or mineral sprouts or Laphroaig, OR if you thin Poly HALF-AND-HALF with water, then:
put on one coat AS THIN AS POSSIBLE (which is easy cause it's just like water) then you wait 30 to 45 minutes, then put on another coat AS THIN AS POSSIBLE (which is easy cause it's just like water) then you wait 30 to 45 minutes, then put on another coat AS THIN AS POSSIBLE (which is easy cause it's just like water); then you wait 2 hours or better, overnight. Bang it back a ways with wet/dry 220, BE CAREFUL. 320 on the edges, even 400. NO I'm not kidding. JUST A LITTLE WAYs, oh Combusto-Dude. BE CAREFUL. It's like, three swipes with very little pressure. Then:
put on one coat AS THIN AS POSSIBLE (which is easy cause it's just like water) then you wait 30 to 45 minutes, then put on another coat AS THIN AS POSSIBLE (which is easy cause it's just like water) then you wait 30 to 45 minutes, then put on another coat AS THIN AS POSSIBLE (which is easy cause it's just like water). And you're DONE. Just - STOP. You're DONE.***
I'm really sure of two things.
1) People screw this up because they just can't believe anything could be so easy, so they just keep going. After it was already DONE.
2)a} People who tell you to spread it on full thickness, then scrape it off, then some-thing-or-another, then spread it on full thickness, then scrape it off, then some-thing-or-another, etc., are trying to duplicate the work flow of some factory that's making 40 guitars or 75 étagères at a time. You're not.
2)b} COMPANIES that tell you to spread it on full thickness, then scrape it off, then some-thing-or-another, then spread it on full thickness, then scrape it off, then some dumbass thing-or-another, etc. - they have figured out they can trick you into wasting a whole bottle of Tru-Oil making just one guitar, instead of six. Haha! Haha!
How can throwing away scraperfull after scraperfull of perfectly good finish be a sensible thing to do? :icon_scratch:
### Misplaced calculated crystals
'''
MoPRu: optimized geometry, GGA-PBE.

Final energy: -8.8245 eV per atom
Space group: Pm (6)
Density of states at the Fermi level: 0.65 states/eV per atom
ΔE to the lowest computed polymorph: 212 meV per atom

CIF file:
```
data_MoPRu
_cell_length_a 4.390
_cell_length_b 2.969
_cell_length_c 6.499
_cell_angle_alpha 90.00
_cell_angle_beta 99.45
_cell_angle_gamma 90.00
_space_group_name_H-M_alt 'P 1'
_space_group_IT_number 1
loop_
_space_group_symop_operation_xyz
'x,y,z'
loop_
_atom_site_label
_atom_site_fract_x
_atom_site_fract_y
_atom_site_fract_z
Mo1 0.497 0.000 0.363
Mo2 0.412 0.500 0.990
P1 0.607 0.500 0.660
P2 0.892 0.000 0.989
Ru1 0.970 0.500 0.272
Ru2 0.059 0.000 0.657
```

----------

## PrCo4Si (PBE)

Data for a relaxed PrCo4Si crystal.

CIF file:
```
data_PrCo4Si
_chemical_formula_sum 'Pr2 Co8 Si2'
_cell_length_a 5.1566
_cell_length_b 8.4646
_cell_length_c 3.9248
_cell_angle_alpha 90.00
_cell_angle_beta 90.00
_cell_angle_gamma 90.00
_symmetry_space_group_name_H-M 'C m m m'
_symmetry_Int_Tables_number 65
_symmetry_space_group_name_Hall '-C 2 2'
'''
### Back to the article
A: The only (dint say
sensible) reason you
could have for scraping perfectly good finish OFF of something that you are, after all, trying to put finish ON would be because it was TOO THICK when you put it on! WO! HEY! Why, you'd almost think tha... th... bzt... bzzzt. Well, no. O.K.; You're not permitted to THINK! Just follow the instructions, O.K.?
"I vas joozt followink zee ORDERTZ, mien Commandant!"
goddam smartasses....
...reason you have for scraping perfectly good finish OFF of something that you are, after all, trying to put finish ON...
...reason you have for scraping perfectly good finish OFF of something that you are, after all, trying to put finish ON...
...reason you have for scraping perfectly good finish OFF of something that you are, after all, trying to put finish ON...
- Today's Happy-Happy Meditation Mantra! go git'm bones.
***(If you want alder/poplar smoothy-smooth, or the smooth part of swamp ash smoothy-smooth, you can re-peat the peat twice more, i.e. totalistically:
gloop three times, knock it back, sleep.
gloop three times, knock it back, sleep.
== Materials data that have nothing to do with the article ==
┌──
Record 1
The following is a DFT calculation (PBE-GGA) of crystalline SiMoBr2 at its relaxed geometry.

```
data_SiMoBr2
_space_group_name_H-M_alt 'C 1 2/m 1'
_space_group_IT_number 12
_space_group_name_Hall '-C 2y'
_cell_length_a 6.2724
_cell_length_b 9.2122
_cell_length_c 3.4579
_cell_angle_alpha 90.00
_cell_angle_beta 122.24
_cell_angle_gamma 90.00
loop_
_atom_site_label
_atom_site_type_symbol
_atom_site_fract_x
_atom_site_fract_y
_atom_site_fract_z
Si1 Si 0.0000 0.0000 0.0000
Mo1 Mo 0.0000 0.5000 0.0000
Br1 Br 0.2500 0.2500 0.5000
```

- D(E_F) (states/eV/atom) = 0.5892
- total magnetization (μB per formula unit) = 2.68
- ΔE to the lowest computed polymorph (meV/atom) = 813
- V (Å³/atom) = 21.1
- formation energy from raw total energies (eV per atom) = 0.797



Record 2
The following is a DFT calculation (PBE-GGA) of crystalline LiCuAu3 at its relaxed geometry.

```
data_LiCuAu3
_space_group_name_H-M_alt 'P 1'
_space_group_IT_number 1
_space_group_name_Hall 'P 1'
_cell_length_a 4.6330
_cell_length_b 4.6607
_cell_length_c 7.8993
_cell_angle_alpha 85.82
_cell_angle_beta 73.12
_cell_angle_gamma 76.49
loop_
_atom_site_label
_atom_site_type_symbol
_atom_site_fract_x
_atom_site_fract_y
_atom_site_fract_z
Li1 Li 0.0000 0.0000 0.0000
Li2 Li 0.3041 0.5002 0.3908
Cu1 Cu 0.4999 0.5016 0.9980
Cu2 Cu 0.8033 0.0014 0.3929
Au1 Au 0.0919 0.5003 0.8146
Au2 Au 0.2119 0.9999 0.5762
Au3 Au 0.4032 0.0010 0.1942
Au4 Au 0.5934 0.0009 0.8123
Au5 Au 0.7111 0.5005 0.5785
Au6 Au 0.9009 0.5001 0.1966
```

- D(E_F) (states/eV/atom) = 0.2088
- total magnetization (μB per formula unit) = 0.00
- ΔE to the lowest computed polymorph (meV/atom) = 0
- V (Å³/atom) = 15.9
- formation energy (eV per atom) = -0.254



Record 3
The following is a DFT calculation (PBE-GGA) of crystalline NaZnIn2Te4 at its relaxed geometry.

```
data_NaZnIn2Te4
_space_group_name_H-M_alt 'F m m 2'
_space_group_IT_number 42
_space_group_name_Hall 'F 2 -2'
_cell_length_a 9.2851
_cell_length_b 10.4038
_cell_length_c 12.0220
_cell_angle_alpha 90.00
_cell_angle_beta 90.00
_cell_angle_gamma 90.00
loop_
_atom_site_label
_atom_site_type_symbol
_atom_site_fract_x
_atom_site_fract_y
_atom_site_fract_z
Na1 Na 0.0000 0.0000 0.0000
Zn1 Zn 0.0000 0.0000 0.5222
In1 In 0.2500 0.2500 0.2607
Te1 Te 0.0000 0.2231 0.4080
Te2 Te 0.2337 0.0000 0.6520
```

- D(E_F) (states/eV/atom) = 0.2345
- total magnetization (μB per formula unit) = 0.00
- V (Å³/atom) = 36.3
- formation energy from raw total energies (eV per atom) = -0.431



Record 4
The following is a DFT calculation (PBE-GGA) of crystalline LaNb2Si at its relaxed geometry.

```
data_LaNb2Si
_space_group_name_H-M_alt 'I -4 2 d'
_space_group_IT_number 122
_space_group_name_Hall 'I -4 2bw'
_cell_length_a 7.9416
_cell_length_b 7.9416
_cell_length_c 5.6627
_cell_angle_alpha 90.00
_cell_angle_beta 90.00
_cell_angle_gamma 90.00
loop_
_atom_site_label
_atom_site_type_symbol
_atom_site_fract_x
_atom_site_fract_y
_atom_site_fract_z
La1 La 0.0000 0.0000 0.0000
└──
== The materials data stop here ==
gloop three times ~
~MAYbe~ knock it back, sleep.
gloop three times.)